### Excerpt
____________
Below is a relaxed structure of NaThSe2O8, with properties calculated at the PBE level.

Formation energy without anion corrections in eV/atom: -1.509
E in eV/atom: -6.123

abc: 5.287 5.287 11.512
angles: 90.00 90.00 90.00
Space group I-4 (No. 82)
Symmetry-distinct sites (fractional):
Na 0.000 0.000 0.000 x2
Th 0.000 0.500 0.750 x2
Se 0.000 0.000 0.500 x2
Se 0.000 0.500 0.250 x2
O 0.126 0.254 0.588 x8
O 0.135 0.734 0.173 x8

=====

Below is a relaxed structure of NaTiSeO, with properties calculated at the PBE level.

Formation energy without anion corrections in eV/atom: -1.621
E in eV/atom: -6.035

abc: 3.3433 3.3433 19.3649
angles: 90.00 90.00 120.00
Space group R3m (No. 160, hexagonal axes)
Symmetry-distinct sites (fractional):
Na 0.0000 0.0000 0.0000 x3
Ti 0.0000 0.0000 0.5346 x3
Se 0.0000 0.0000 0.7817 x3
O 0.0000 0.0000 0.2541 x3

=====

Below is a relaxed structure of NaTiSe2O8, with properties calculated at the PBE level.

Formation energy without anion corrections in eV/atom: -1.303
E in eV/atom: -5.957

abc: 8.544 5.605 7.265
____________

### To do
Now set down every line above that contains the word "at".

### Solution
Below is a relaxed structure of NaThSe2O8, with properties calculated at the PBE level.
Below is a relaxed structure of NaTiSeO, with properties calculated at the PBE level.
Below is a relaxed structure of NaTiSe2O8, with properties calculated at the PBE level.